Happy Friday!
____________
Record 1
11
Properties=species:S:1:pos:R:3:nbo_charge:R:1 method="wB97M-V/def2-TZVPD" multiplicity=1 max_force_ev_per_a=2.74 total_charge=0 relative_energy_kj_mol=584.1 homo_ev="-6.63 / -8.28" homo_lumo_gap_ev="6.278 / 8.804"
S 0.36 -0.17 1.75 0.12
O 0.77 1.77 -2.00 -0.43
O -0.66 2.23 1.72 -0.63
N 0.57 1.49 1.44 -0.35
C -0.94 0.21 -0.98 -0.79
C 0.08 1.22 -1.27 0.68
H -0.37 -0.75 -0.87 0.28
H -1.83 0.13 -1.60 0.25
H -1.28 0.34 0.09 0.27
H 1.67 -0.12 1.93 0.14
H -0.67 2.37 2.70 0.46

---

Record 2
53
Properties=species:S:1:pos:R:3:nbo_charge:R:1 method="wB97M-V/def2-TZVPD" multiplicity=1 max_force_ev_per_a=1.10 total_charge=+2 relative_energy_kj_mol=58.0 homo_ev="-13.89 / -13.93" homo_lumo_gap_ev="4.952 / 5.029"
Ru -0.61 0.61 -0.04 0.95
S -1.70 -1.23 0.27 0.43
F -3.67 -2.79 3.79 -0.29
F -2.82 -3.28 1.85 -0.31
F -1.81 -3.89 3.67 -0.29
O 5.20 -2.35 0.76 -0.57
O 3.22 -5.44 -1.12 -0.72
O -0.54 0.69 -2.02 -0.64
N 3.56 -3.32 -0.48 -0.61
N 1.46 0.37 0.04 -0.46
N -0.72 0.22 2.02 -0.45
N -1.99 1.99 0.00 -0.43
N -3.34 3.57 -0.66 -0.49
C 4.21 0.21 0.14 -0.06
C 2.21 1.49 0.08 0.05
C 4.17 -4.64 -0.47 0.11
C -2.86 3.09 -3.48 -0.17
C 2.07 -0.83 0.02 0.06
C -0.32 0.74 3.18 0.08
C -2.18 2.38 -2.48 -0.16
C -1.41 -0.93 1.99 0.06
C -1.22 1.40 -2.86 0.39
C 3.58 1.44 0.13 -0.22
C -2.60 2.55 1.12 -0.11
C -0.63 0.10 4.38 -0.22
C 4.16 -2.28 0.14 0.64
C -2.61 2.85 -4.81 -0.20
C 3.44 -0.95 0.06 -0.12
C -2.47 2.63 -1.10 0.43
C -1.76 -1.62 3.14 -0.16
C -2.53 -2.92 3.11 0.98
C -1.66 1.88 -5.19 -0.13
C -0.99 1.16 -4.24 -0.25
C -1.35 -1.08 4.35 -0.07
C -3.43 3.53 0.71 0.01
H -1.59 -1.59 5.27 0.27
H 2.82 -3.19 -1.15 0.41
H 1.67 2.43 0.08 0.22
H 4.15 2.37 0.16 0.26
H 0.25 1.66 3.15 0.23
H -0.29 0.53 5.31 0.27
H -2.41 2.19 2.11 0.24
H -1.47 1.69 -6.24 0.25
H 1.43 -1.70 0.00 0.23
H 5.13 -4.62 -0.99 0.18
H -3.84 4.21 -1.25 0.45
H 4.34 -4.94 0.57 0.18
H -4.08 4.18 1.26 0.26
H 5.29 0.12 0.21 0.28
H 3.57 -6.33 -1.23 0.50
H -0.26 0.41 -4.51 0.24
H -3.60 3.84 -3.23 0.21
H -3.14 3.41 -5.57 0.25

---

Record 3
184
Properties=species:S:1:pos:R:3:lowdin_charge:R:1 method="wB97M-V/def2-TZVPD" multiplicity=1 max_force_ev_per_a=13.87 total_charge=0 homo_ev=-8.03 homo_lumo_gap_ev=6.647
Rb 12.93 -7.37 5.60 0.82
S 14.89 -6.12 -0.02 0.32
S 13.28 -4.75 0.73 0.59
F 15.25 -7.22 -1.14 -0.22
F 11.71 -4.53 0.28 -0.24
O 6.41 -4.88 4.41 -0.09
O 8.79 -6.78 5.39 -0.10
O 17.80 0.40 -1.14 -0.22
O 13.00 -5.15 2.06 -0.28
O 15.00 -6.99 1.16 -0.32
O 15.93 -5.13 -0.16 -0.28
O 10.38 -0.95 5.92 -0.18
O 10.60 -8.19 -0.32 -0.09
O 22.49 -5.70 -9.58 -0.20
O 18.19 -7.53 -7.97 -0.18
O 13.81 -3.39 0.55 -0.27
O 23.65 -13.24 -1.73 -0.21
O 10.61 -6.80 -3.04 -0.06
O 12.16 1.49 0.18 -0.21
O 21.20 -8.96 0.66 -0.21
O 16.56 -12.28 2.08 -0.21
O 12.28 -5.92 9.02 -0.21
O 11.78 -12.65 -3.34 -0.20
O 19.10 -2.60 9.57 -0.17
O 17.22 -1.32 5.65 -0.17
O 13.70 -4.05 -4.08 -0.08
O 12.82 -5.39 -6.52 -0.06
N 13.61 -5.79 -0.59 -0.23
N 19.50 -5.95 -10.17 -0.05
N 21.74 -11.16 -1.50 -0.07
N 15.14 1.32 -0.30 -0.08
N 17.79 -0.30 8.29 -0.05
____________
End of the records of molecules =
Resolved: To start treating my body better, even when — no, ESPECIALLY WHEN — I’m under stress. I eat like crap and then I fall asleep early and wake up feeling like I never slept. I need better food and some movement. And I can’t be of help to people if I’m treating myself like dirt. Resolved. (eats soup, declines to go outside for a walk)
NONBLOGGABLE THINGS (I’m not pregnant) are the same, but slowly improving. Work is better. WM is amazing, as always. Murphy and Ollie love each other. My weekend plans are to spend some time with my Favorite Kid tomorrow, and then work my ass off on Sunday setting things up for a successful week next week. Food plan, precooking, etc. And I’m going to attempt to change Molly the Jeep’s burned-out taillight, too.
Time for the Friday 5 — this week’s theme is Off Balance. Let’s get to it!
1. What most recently made you giddy?
We bought an Amazon Echo on Prime Day and I have been having a blast interacting with Alexa. Asking for news, jokes, weather, time, etc just delights me in the way you can only be delighted if you grew up in or before the 80s. We play Jeopardy every night. Eventually I’ll buy some smart light bulbs.
2. What most recently left you agog?
I found out that Adriene of Yoga with Adriene is going to do a live event in Philadelphia in September. This is super exciting to me. I wonder how much it will cost and how long it will be. I also am wondering if I’m in good enough shape to do yoga in public, given I haven’t done it since before Murphy arrived. (Answer: no, but I’ve made bad decisions before.)
# 1
A single C20H20N4O2S molecule at a distorted geometry. Source: OMol25; level of theory: ωB97M-V/def2-TZVPD.

The value obtained for the HOMO energy is -8.13 eV. As for the total energy: -41955.6508 eV. Its structure (SMILES) is CCC(=O)Nc1cccc(-c2nnc(SCC(=O)c3ccccc3)n2C)c1. As for the energy above the lowest of the compared OMol25 structures with the same formula, charge and spin: 1.3387 eV.

Last column: Mulliken charge in e.
Cartesian coordinates (Å):
C1 2.52 -1.18 -5.68  -1.03
C2 1.81 -2.30 -4.92  -0.78
C3 1.54 -1.87 -3.48  0.66
O1 0.44 -1.55 -3.09  -0.61
N1 2.67 -1.90 -2.71  -0.05
C4 2.83 -1.54 -1.37  0.79
C5 1.82 -0.97 -0.62  -0.62
C6 2.04 -0.64 0.72  0.20
C7 3.30 -0.86 1.29  -0.68
C8 4.31 -1.42 0.53  -0.82
C9 4.08 -1.77 -0.79  -0.73
H1 4.87 -2.21 -1.38  0.36
H2 5.28 -1.59 0.96  0.39
H3 3.50 -0.56 2.31  0.51
C10 0.96 -0.04 1.47  0.34
N2 0.09 0.81 0.96  -0.88
N3 -0.76 1.17 1.92  -0.10
C11 -0.42 0.54 3.01  0.30
N4 0.67 -0.25 2.80  0.11
C12 1.25 -1.16 3.74  -1.09
H4 2.01 -0.65 4.36  0.31
H5 0.47 -1.53 4.40  0.39
H6 1.72 -1.99 3.21  0.45
S1 -1.27 0.64 4.51  -0.22
C13 -2.69 1.55 3.83  -0.88
C14 -3.21 0.81 2.60  0.58
O2 -3.22 -0.39 2.55  -0.55
C15 -3.70 1.67 1.50  0.57
C16 -3.58 1.19 0.20  -0.57
C17 -4.01 1.95 -0.87  -0.57
C18 -4.59 3.19 -0.64  -0.36
C19 -4.73 3.67 0.65  -0.64
C20 -4.28 2.92 1.72  -0.21
H7 -4.41 3.29 2.73  0.39
H8 -5.19 4.63 0.83  0.38
H9 -4.93 3.79 -1.47  0.38
H10 -3.90 1.58 -1.87  0.39
H11 -3.13 0.23 0.04  0.41
H12 -3.45 1.56 4.62  0.44
H13 -2.36 2.56 3.60  0.45
H14 0.85 -0.78 -1.05  0.82
H15 3.51 -2.23 -3.16  0.21
H16 2.41 -3.21 -4.93  0.30
H17 0.85 -2.51 -5.39  0.33
H18 1.91 -0.27 -5.66  0.31
H19 2.68 -1.47 -6.71  0.34
H20 3.48 -0.94 -5.23  0.31

# 2
2 unconnected molecules or ions with the total composition C8H20N3O2. Source: OMol25; level of theory: ωB97M-V/def2-TZVPD.

The value obtained for the HOMO energy is -1.98 eV. As for the total energy: -17183.5083 eV. The charge is -1.

Last column: Mulliken charge in e.
Cartesian coordinates (Å):
C1 0.62 -1.82 2.38  -0.97
C2 0.92 -1.03 1.08  -0.53
N1 0.13 0.17 0.87  -0.27
N2 -0.77 0.12 -0.24  -0.65
C3 -1.83 -0.80 0.03  -0.72
C4 -2.84 -0.33 1.11  -0.54
C5 -3.67 -1.42 1.78  -0.54
O1 -3.89 -2.58 0.96  -0.53
H1 0.70 -2.89 2.17  0.30
H2 -0.39 -1.60 2.72  0.18
H3 1.34 -1.62 3.17  0.37
H4 0.81 -1.70 0.23  0.32
H5 1.98 -0.75 1.11  0.30
H6 -0.34 0.42 1.75  0.22
H7 -1.50 -1.83 0.29  0.21
H8 -2.39 -0.91 -0.91  0.41
H9 -2.34 0.27 1.87  0.22
H10 -3.55 0.34 0.60  0.32
H11 -4.65 -1.04 2.08  0.31
H12 -3.16 -1.80 2.66  0.27
H13 -4.28 -2.28 0.12  0.31
C6 2.96 2.86 -3.21  0.08
O2 2.28 3.45 -4.04  -0.62
N3 2.49 2.03 -2.27  0.16
C7 3.38 1.37 -1.33  -0.85
C8 1.06 1.76 -2.15  -0.59
H14 4.06 2.96 -3.18  0.22
H15 3.28 0.28 -1.43  0.29
H16 3.11 1.65 -0.31  0.30
H17 4.41 1.65 -1.53  0.33
H18 0.68 1.33 -3.08  0.27
H19 0.52 2.69 -1.97  0.25
H20 0.86 1.07 -1.34  0.19

# 3
3. What most recently left you aghast?
How the Republican Party (which I used to be a part of so I’m not your garden-variety lifelong-[D] screamer) continues to kowtow to this wackadoodle President! Have some backbone, fellas. I know you love this country and I know this inexperienced and bumbling Presidential staff plus the constant Tweeting has to be completely mortifying. Toss this turnip, let Pence serve and while I don’t agree with Pence’s views at LEAST I’m certain he’d know how to act like a President.
=====
P) Here is a 2-piece molecular cluster, C28H29N2 overall from the Open Molecules 2025 dataset. Energies are from wB97M-V/def2-TZVPD.

Results
LUMO energy: -0.186 Ha
total charge: +1

Cartesian coordinates (Å):
C 3.160 2.431 -0.634
C 1.658 2.170 -0.473
N 1.232 1.335 0.642
C 2.058 1.271 1.639
C 1.882 0.452 2.916
C 3.068 0.887 3.803
C 3.944 1.838 2.968
N 3.259 1.892 1.707
C 3.837 2.715 0.695
H 3.643 1.571 -1.107
H 3.301 3.312 -1.274
H 1.170 3.171 -0.397
H 1.280 1.674 -1.377
H 0.909 0.642 3.370
H 1.939 -0.624 2.689
H 2.704 1.450 4.672
H 3.679 0.039 4.140
H 4.016 2.847 3.398
H 4.968 1.453 2.814
H 4.912 2.494 0.643
H 3.733 3.781 0.966
C -2.575 -2.388 -5.567
C -3.509 -1.875 -4.656
C -3.124 -1.571 -3.347
C -1.792 -1.777 -2.917
C -1.303 -1.424 -1.570
C -1.807 -0.286 -0.898
C -1.554 0.150 0.400
C -2.364 1.109 1.113
C -2.196 1.258 2.517
C -2.955 2.185 3.228
C -3.939 2.943 2.565
C -4.190 2.728 1.203
C -3.418 1.817 0.481
C -0.315 -2.280 -0.932
C 0.659 -1.699 -0.107
C 1.622 -2.463 0.544
C 1.600 -3.854 0.405
C 0.671 -4.465 -0.452
C -0.278 -3.690 -1.128
C -0.868 -2.295 -3.858
C -1.247 -2.590 -5.166
H -2.861 -2.606 -6.596
H -4.534 -1.704 -4.981
H -3.865 -1.208 -2.628
H -2.558 0.279 -1.449
H -0.862 -0.387 1.047
H -1.531 0.570 3.053
H -2.785 2.326 4.303
H -4.509 3.696 3.107
H -4.992 3.271 0.691
H -3.699 1.573 -0.543
H 0.688 -0.609 0.014
H 2.374 -1.960 1.144
H 2.309 -4.459 0.971
H 0.686 -5.546 -0.591
H -1.009 -4.174 -1.787
H 0.179 -2.432 -3.553
H -0.497 -2.961 -5.866

Atomic partial charges in e from the Mulliken method, atoms 1 to 4: C -0.76; C -0.78; N -0.40; C 0.24


Q) Here is a 2-piece molecular cluster, C28H29N2 overall from the Open Molecules 2025 dataset. Energies are from wB97M-V/def2-TZVPD.

Results
LUMO energy: -0.177 Ha
total charge: +1

Cartesian coordinates (Å):
C 4.125 1.261 1.497
N 2.737 0.841 1.581
C 1.663 1.671 1.631
C 0.471 0.907 1.734
C -0.817 1.427 1.898
C -2.039 0.704 1.659
C -2.149 -0.305 0.659
C -3.287 -1.101 0.566
C -4.352 -0.914 1.459
C -4.313 0.150 2.371
C -3.202 0.985 2.426
C 0.904 -0.500 1.756
C 0.274 -1.715 1.985
C 1.041 -2.895 2.004
C 2.440 -2.857 1.883
C 3.101 -1.632 1.700
C 2.313 -0.491 1.641
H 4.759 0.376 1.572
H 4.329 1.768 0.543
H 4.372 1.954 2.313
H 1.753 2.752 1.568
H -0.887 2.492 2.120
H -1.318 -0.457 -0.033
H -3.339 -1.884 -0.193
H -5.215 -1.579 1.432
H -5.153 0.329 3.044
H -3.184 1.844 3.101
H -0.802 -1.736 2.141
H 0.538 -3.857 2.121
H 3.014 -3.783 1.938
H 4.184 -1.566 1.606
C -0.824 5.554 3.827
N 0.286 4.873 4.490
C 0.133 3.586 4.867
C -0.961 2.793 4.649
C -0.915 1.537 5.430
C 0.444 1.616 6.198
C 1.189 2.856 5.676
C 1.432 5.661 4.853
C 1.382 6.497 5.979
C 2.509 7.233 6.349
C 3.670 7.177 5.569
C 3.704 6.380 4.421
C 2.591 5.618 4.064
H -0.500 6.567 3.567
H -1.115 5.023 2.908
H -1.702 5.618 4.486
H -1.831 3.104 4.081
H -1.744 1.434 6.147
H -0.944 0.651 4.780
H 0.244 1.737 7.269
H 1.030 0.701 6.070
H 2.027 2.555 5.027
H 1.616 3.464 6.484
H 0.462 6.530 6.568
H 2.475 7.848 7.248
H 4.547 7.759 5.856
H 4.598 6.345 3.798
=====
## So much for the molecular data
In other words, nut up, Ryan and McConnell. Nut up.
4. What in your life is the most higgledy-piggledy?
Phase 2 of NONBLOGGABLE THINGS (nobody has cancer) is ending one day next week, but I don’t know which day. This may require me to take a day off of work, but I don’t know what day so I can’t request it. I gave my manager a heads-up and he’s totally okay with it (I am thankful every day for TNP’s flexibility), but still. This stresses me to no end. I need to plan, people!
5. What was your week a mish-mash of?
White-knuckle stress and sleep.
Happy birthday, BvP, wherever you are.
Good thoughts for whatever’s going on!
Nut up indeed.